# Excerpt
'''
Record 1
The following is a quantum chemistry calculation of C37H91Cu2N6O15 as an isolated structure at a distorted geometry, from the Open Molecules 2025 dataset.

Structure (XYZ):
```
151
Properties=species:S:1:pos:R:3
Cu -1.991 0.847 1.989
Cu 2.187 2.654 0.719
O 0.809 -0.029 -0.997
C -0.131 0.342 -0.094
O -1.229 -0.247 -0.078
O 0.094 1.284 0.712
H 0.395 -0.826 -1.379
C 1.232 -7.301 -6.252
O 1.154 -5.887 -6.288
C -0.191 -5.461 -6.020
C -0.150 -3.947 -5.977
N 0.558 -3.502 -4.772
C 0.870 -2.084 -4.799
C 1.711 -1.686 -3.608
O 2.946 -2.379 -3.742
C 3.998 -1.723 -3.087
H 2.244 -7.519 -6.594
H 0.475 -7.872 -6.793
H 1.185 -7.645 -5.209
H -0.559 -5.858 -5.072
H -0.816 -5.744 -6.869
H -1.172 -3.574 -5.835
H 0.310 -3.492 -6.862
H 1.410 -4.059 -4.754
H -0.057 -1.501 -4.765
H 1.415 -1.770 -5.699
H 1.211 -2.001 -2.686
H 1.745 -0.590 -3.630
H 4.165 -0.713 -3.478
H 4.930 -2.260 -3.277
H 3.883 -1.711 -1.996
C 6.933 0.140 4.825
O 5.938 -0.406 3.994
C 4.661 0.062 4.356
C 3.680 -0.666 3.461
N 2.320 -0.125 3.566
C 1.403 -0.905 2.721
C 1.024 -2.251 3.348
O 0.672 -2.090 4.710
C 0.423 -3.361 5.293
H 7.928 -0.145 4.479
H 6.811 -0.178 5.863
H 6.984 1.236 4.790
H 4.581 1.156 4.296
H 4.383 -0.214 5.383
H 3.653 -1.729 3.690
H 4.013 -0.512 2.423
H 2.324 0.817 3.189
H 1.870 -1.060 1.742
H 0.477 -0.344 2.621
H 1.844 -2.973 3.256
H 0.171 -2.692 2.818
H -0.467 -3.824 4.862
H 0.200 -3.153 6.340
H 1.291 -4.022 5.286
C 1.454 -3.594 0.112
O 0.224 -3.150 -0.452
C -0.728 -4.195 -0.515
C -1.660 -3.886 -1.671
N -2.569 -2.779 -1.409
C -3.465 -2.543 -2.545
C -4.178 -1.208 -2.410
O -4.654 -0.807 -3.677
C -5.042 0.564 -3.676
H 1.990 -4.226 -0.602
H 1.259 -4.171 1.018
H 2.109 -2.751 0.321
H -1.229 -4.248 0.463
H -0.280 -5.188 -0.640
H -2.271 -4.732 -1.993
H -0.998 -3.629 -2.508
H -2.059 -1.943 -1.146
H -4.148 -3.390 -2.624
H -2.872 -2.509 -3.471
H -3.466 -0.477 -2.008
H -5.042 -1.348 -1.747
H -4.130 1.153 -3.566
H -5.736 0.742 -2.848
H -5.557 0.779 -4.607
C -3.978 5.581 5.208
O -2.652 5.267 4.816
C -2.201 6.213 3.867
C -0.909 5.775 3.181
N -1.185 4.852 2.080
C 0.019 4.436 1.350
C 0.985 5.531 0.928
O 2.189 4.938 0.461
C 3.386 5.660 0.749
H -4.087 6.536 5.731
H -4.356 4.779 5.836
H -4.610 5.664 4.317
H -1.974 7.143 4.402
H -2.919 6.495 3.090
H -0.297 5.228 3.913
H -0.457 6.711 2.860
H -1.605 4.034 2.502
H -0.301 3.939 0.434
H 0.558 3.775 2.055
H 1.245 6.233 1.725
H 0.522 6.140 0.143
H 3.204 6.722 0.580
H 4.055 5.368 -0.065
H 3.840 5.411 1.706
C -3.204 2.484 -0.671
O -3.500 2.101 0.666
C -4.673 1.279 0.733
C -4.840 0.781 2.149
N -3.957 -0.321 2.580
C -4.045 -1.526 1.724
C -3.571 -2.728 2.519
O -4.529 -2.905 3.557
C -4.225 -4.027 4.381
H -2.920 1.629 -1.283
H -2.360 3.169 -0.634
H -4.103 2.939 -1.093
H -4.610 0.415 0.064
H -5.522 1.883 0.406
H -5.869 0.404 2.198
H -4.756 1.663 2.786
H -4.292 -0.624 3.489
H -3.402 -1.461 0.844
H -5.055 -1.712 1.347
H -2.610 -2.508 2.997
H -3.479 -3.607 1.876
H -4.812 -3.959 5.291
H -3.170 -4.002 4.676
H -4.402 -4.937 3.806
C 5.356 2.357 0.741
O 4.160 1.686 0.361
C 4.238 1.068 -0.916
C 3.686 2.001 -1.969
N 2.311 2.440 -1.685
C 1.824 3.566 -2.506
C 0.384 3.274 -2.803
O 0.305 2.088 -3.572
C -1.024 1.626 -3.680
H 6.240 1.725 0.643
H 5.258 2.680 1.776
H 5.498 3.241 0.111
H 3.560 0.205 -0.874
H 5.205 0.588 -1.076
H 3.719 1.453 -2.921
H 4.313 2.880 -2.138
H 1.741 1.609 -1.814
H 2.342 3.526 -3.471
H 2.025 4.502 -1.992
H -0.063 4.099 -3.373
H -0.202 3.113 -1.885
H -1.721 2.423 -3.955
H -1.359 1.159 -2.746
H -1.067 0.858 -4.452
```

Values from the calculation:
* total charge: +1
* calculated total energy: -6202.02344 hartree
* maximum force: 1.7 eV/A

Record 2
The following is a quantum chemistry calculation of a 7-piece molecular cluster, C10H32BrO6 overall at a distorted geometry, from the Open Molecules 2025 dataset.

Structure (XYZ):
```
49
Properties=species:S:1:pos:R:3
Br 0.154 -0.777 0.749
C -2.999 0.938 -0.944
C -2.144 2.199 -0.785
C -2.958 3.493 -0.946
O -1.586 2.108 0.508
H -3.365 0.872 -1.968
H -3.866 0.949 -0.283
H -2.512 -0.002 -0.686
'''

# Wanted
Your job: type out the lines earlier on from the one with "-1.185 4.852" to the one with "-1.605 4.034" verbatim.

# Written answer
N -1.185 4.852 2.080
C 0.019 4.436 1.350
C 0.985 5.531 0.928
O 2.189 4.938 0.461
C 3.386 5.660 0.749
H -4.087 6.536 5.731
H -4.356 4.779 5.836
H -4.610 5.664 4.317
H -1.974 7.143 4.402
H -2.919 6.495 3.090
H -0.297 5.228 3.913
H -0.457 6.711 2.860
H -1.605 4.034 2.502